Hanukkah is a Jewish celebration also known as the Festival of Lights or the Festival of Dedication. This year it began on Sunday, December 2, and will end on the evening of Monday, December 10.

********
# 1
Molecular formula: C5H8N2O
Method: DFT, wB97M-V/def2-TZVPD

Output
E_LUMO   0.0315 hartree
Energy relative to the best compared isomer or geometry (same formula, charge and spin)   890.52 kJ/mol
Gap between HOMO and LUMO   9.57 eV
Calculated total energy   -10333.49652 eV

```
! RIJCOSX wB97M-V def2-TZVPD def2/J DEFGRID3
* xyz 0 1
C -1.2879 -1.3086 0.0417
C 0.1469 1.5328 -0.0442
C 1.1585 0.7301 0.4945
C 1.6203 -0.4489 -0.4415
C 0.2399 -0.8174 -0.0606
H -1.5459 -1.9290 0.9585
H -1.6903 -1.4991 -1.0662
H -2.8187 0.1583 0.0352
H 0.5368 2.4827 -0.3022
H 2.1946 1.1008 0.9798
H 2.4863 -0.9278 0.2128
H 1.8428 -0.4777 -1.5321
H -0.3561 -0.1878 -0.8843
N -1.8218 0.2848 0.4382
N -1.2008 1.5302 -0.0864
O 0.4953 -0.2233 1.2567
*
```

Here are the Mulliken charges for atoms 1 to 2, given in e:
1. C -0.4349
2. C -0.4646


# 2
Molecular formula: C20H42FN4O6
Method: DFT, wB97M-V/def2-TZVPD

Output
E_LUMO   0.0674 hartree
Energy relative to the best compared isomer or geometry (same formula, charge and spin)   564.00 kJ/mol
Gap between HOMO and LUMO   6.10 eV
Calculated total energy   -42379.83309 eV

```
! RIJCOSX wB97M-V def2-TZVPD def2/J DEFGRID3
* xyz -1 1
C 6.1839 -2.1902 1.4215
O 6.8305 -1.5636 0.2445
C 6.3993 -0.1655 0.0853
C 4.8364 0.0238 -0.3847
C 4.4417 -0.7282 -1.7865
C 3.8280 -2.2387 -1.6196
C 2.6388 -2.3899 -0.5019
C 1.3545 -1.3480 -0.7532
C 0.1793 -2.1263 -1.5888
O -1.0888 -1.6836 -1.7606
O 0.4830 -3.4176 -2.2915
N 0.9592 -0.8516 0.6155
C -0.0732 -1.7160 1.2962
C 0.6355 0.6207 0.6551
C -0.7304 1.0663 -0.1313
F 1.7876 1.5062 0.2400
H 5.6101 -3.1338 1.0257
H 5.3921 -1.4965 1.9534
H 7.0096 -2.4524 2.2233
H 7.1206 0.4672 -0.6147
H 6.4827 0.3412 1.1628
H 4.1542 -0.2328 0.5307
H 4.6917 1.1922 -0.5814
H 3.7042 -0.0787 -2.4489
H 5.4593 -0.8495 -2.3978
H 3.3975 -2.6992 -2.6286
H 4.7071 -2.9780 -1.2964
H 2.2741 -3.5220 -0.3977
H 3.0637 -2.1187 0.5805
H 1.6911 -0.4274 -1.4347
H 0.1846 -2.8652 1.1001
H -1.1879 -1.4841 0.9947
H 0.0971 -1.5753 2.4697
H 0.4586 0.8914 1.8044
H -0.6373 0.9331 -1.3122
H -1.6998 0.4799 0.1774
H -0.9600 2.2134 0.1050
C -1.8575 5.6775 2.4342
C -1.7961 4.2261 2.0523
O -1.3769 3.8539 0.9574
N -2.2240 3.3053 2.9639
C -2.7456 3.5391 4.2899
H -1.4842 6.2897 1.6085
H -2.8918 5.9673 2.6385
H -1.2303 5.8607 3.3109
H -2.1526 2.3488 2.6359
H -2.1053 3.0153 5.0028
H -3.7534 3.1210 4.3359
H -2.7799 4.5999 4.5430
C 1.1693 -2.0020 -7.9268
C 2.3302 -2.2305 -7.0015
O 3.4459 -1.7620 -7.2221
N 2.1200 -2.9853 -5.8843
C 0.8954 -3.6170 -5.4525
H 1.4893 -1.3842 -8.7704
H 0.8077 -2.9576 -8.3164
H 0.3677 -1.4779 -7.3993
H 2.9476 -3.0954 -5.3096
H 0.6409 -3.2233 -4.4662
H 1.0773 -4.6911 -5.3758
H 0.0683 -3.4363 -6.1408
C -6.3673 1.2008 3.0371
C -6.7446 2.1977 4.0954
O -6.0015 3.1233 4.4182
N -7.9559 2.0550 4.7073
C -8.9603 1.0446 4.4716
H -5.3771 1.4432 2.6417
H -6.3312 0.1956 3.4659
H -7.0864 1.2383 2.2143
H -8.1402 2.7633 5.4086
H -9.8812 1.5472 4.1683
H -9.1322 0.5129 5.4098
H -8.6626 0.3335 3.6995
*
```
********
Hanukkah, which means dedication in Hebrew, is inspired by events that took place in 200 B.C in the ‘Land of Israel.’ A large rebellion broke out after the son (Antiochus IV Epiphanes) of a Syrian king, sent his own soldiers and made a sudden attack upon Jerusalem because he demanded that the Jews worship Greek Gods. The Syrian King, however, allowed the Jews to continue practicing their religion, unlike his son Antiochus IV Epiphanes. The soldiers murdered thousands of people and degraded the city’s holy second Temple.
After two years of the rebellion against the Seleucid Empire, which was taken over by a man named Judah (after the passing of his father), the Syrians were successfully driven out of Jerusalem. Judah called for the Second Temple to be cleansed; Judah also called for a rebuild of the altar, which was originally built to honor Zeus, and to light its Menorah.
A Menorah is a gold Candelabrum and its seven branches represent knowledge and creation.
After the cleansing of the temple upon Judah’s order, the Menorah had been lit. The Menorah only had enough oil to burn for a day. However, in what was considered a miracle by witnesses, the Menorah kept burning for eight nights. This event inspired Hanukkah, which is celebrated on a yearly-basis and is an eight-day celebration.
_Molecular data, as found in the file_
____________
Record 1
A cluster of 12 separate species, C4H34NO11 in total. Source: OMol25; level of theory: wB97M-V/def2-TZVPD.

```
50
C4H34NO11 | OMol25 | wB97M-V/def2-TZVPD
C -2.21 0.40 -0.33
C -1.80 -0.34 0.98
C -1.55 0.66 2.12
C -2.77 -1.49 1.26
N -1.19 1.35 -0.82
H -2.27 -0.45 -1.09
H -3.27 0.65 -0.37
H -0.84 -0.78 0.73
H -2.50 1.09 2.38
H -1.45 0.01 3.03
H -0.72 1.35 2.02
H -3.81 -1.22 1.23
H -2.52 -2.15 2.06
H -2.65 -2.21 0.37
H -1.38 1.69 -1.76
H -0.99 2.19 -0.24
H -0.33 0.80 -0.89
H 1.34 0.28 -2.81
H 1.07 -1.11 -2.13
O 0.88 -0.17 -2.09
H 1.74 -2.86 -1.33
H 1.56 -3.80 -2.47
O 1.12 -3.05 -2.05
H -1.86 -2.76 -2.52
H -0.63 -2.16 -1.73
O -1.54 -2.01 -2.01
H 1.41 -0.12 3.16
H 0.46 0.84 2.54
O 1.35 0.84 2.93
H 0.53 3.77 0.71
H -0.54 3.98 1.60
O -0.31 3.33 0.90
H 3.80 -3.12 0.35
H 3.15 -1.63 0.41
O 2.97 -2.63 0.43
H 1.48 -2.32 2.17
H 0.47 -2.32 3.23
O 1.27 -1.84 3.00
H 2.22 2.37 2.30
H 2.73 3.02 3.57
O 2.12 3.16 2.84
H 1.13 3.08 -3.69
H 0.37 1.88 -3.95
O 0.70 2.38 -3.18
H 2.48 0.17 -0.29
H 2.90 0.07 1.27
O 3.16 -0.05 0.34
H -1.40 -0.07 -3.56
H -2.13 0.52 -4.73
O -1.77 0.77 -3.87
```

Computed properties:
DFT total energy: -1054.977047 Ha
E_HOMO: -12.894 eV
gap between HOMO and LUMO: 10.319 eV
net charge: +1


Record 2
A structure of composition C18H18F3N2O3PtSe. Source: OMol25; level of theory: wB97M-V/def2-TZVPD.

```
46
C18H18F3N2O3PtSe | OMol25 | wB97M-V/def2-TZVPD
Pt -0.01 0.12 0.39
F 4.19 -1.32 2.19
C 4.00 -0.69 1.04
F 4.52 -1.43 0.06
F 4.69 0.47 1.08
C 2.52 -0.38 0.79
O 1.75 -0.32 1.77
O 2.15 -0.12 -0.38
Se 1.14 2.43 0.62
C 0.09 3.95 0.22
C -1.06 4.24 0.95
C -1.75 5.41 0.67
N -1.37 6.29 -0.26
C -0.26 6.01 -0.94
C 0.50 4.86 -0.75
H -1.41 3.56 1.71
H -2.65 5.67 1.22
H 0.03 6.74 -1.69
H 1.38 4.67 -1.34
C -4.94 0.31 -1.38
C -4.55 0.77 0.03
C -4.93 2.25 0.21
C -5.28 -0.09 1.07
C -3.09 0.61 0.19
C -1.89 0.52 0.28
H -6.00 0.48 -1.55
H -4.72 -0.75 -1.51
H -4.38 0.86 -2.14
H -6.00 2.38 0.04
H -4.38 2.87 -0.49
H -4.70 2.58 1.22
H -6.36 -0.01 0.93
H -5.03 0.24 2.08
H -4.98 -1.14 0.97
O 0.15 -2.03 0.14
N -1.02 -2.66 0.30
C -1.64 -3.16 -0.77
C -2.88 -3.77 -0.64
C -3.47 -3.87 0.61
C -2.79 -3.34 1.70
C -1.56 -2.74 1.52
H -1.11 -3.03 -1.70
H -3.36 -4.17 -1.52
H -4.43 -4.34 0.73
H -3.22 -3.39 2.69
H -0.97 -2.31 2.31
```

Computed properties:
DFT total energy: -3852.120865 Ha
E_HOMO (alpha / beta): -7.613 / -7.579 eV
gap between HOMO and LUMO (alpha / beta): 6.637 / 4.782 eV
net charge: 0
2S+1: 2
____________
_Here the entry continues_
Today, Hanukkah is a worldwide celebration and has many unique traditions. Some of the historical traditions of Hanukkah is to enjoy foods fried in oil such as potato pancakes (Latkes) and jam-filled donuts (Sufganiyot). Other traditions include playing with spinning tops, called Dreidels, exchanging gifts, or giving money to the children of the family on each day of the celebration. The main tradition is the lighting of the Menorah and reciting prayers or blessings.
== Here the entry breaks off for calculated molecules ==
┌──
Record 1
Entry from the Open Molecules 2025 dataset: C26H30F3IN2O4ReS as an isolated structure (ωB97M-V/def2-TZVPD).

```
68
C26H30F3IN2O4ReS | the Open Molecules 2025 dataset | ωB97M-V/def2-TZVPD
Re -0.672 -1.085 0.470
C -4.788 0.183 -2.761
C -3.587 -0.594 -2.377
C -3.729 -1.791 -1.664
C -2.634 -2.527 -1.263
C -2.806 -3.837 -0.578
C -1.300 -2.033 -1.533
C -1.171 -0.865 -2.376
C 0.169 -0.458 -2.891
C -2.304 -0.167 -2.742
H -5.393 -0.394 -3.462
H -4.533 1.132 -3.222
H -5.414 0.360 -1.887
H -4.724 -2.150 -1.445
H -3.255 -4.548 -1.273
H -3.487 -3.748 0.265
H -1.856 -4.236 -0.231
H -0.548 -2.809 -1.704
H 0.199 -0.644 -3.965
H 0.981 -1.023 -2.436
H 0.341 0.606 -2.745
H -2.205 0.709 -3.366
F 5.285 -4.901 0.920
C 5.238 -3.584 0.778
F 6.026 -3.247 -0.244
F 5.757 -3.026 1.882
C 3.820 -3.068 0.583
C 2.711 -3.893 0.724
C 1.455 -3.322 0.623
N 1.256 -2.007 0.422
C 2.337 -1.225 0.261
C 3.627 -1.718 0.311
H 2.825 -4.950 0.915
H 0.576 -3.945 0.714
H 2.156 -0.167 0.095
H 4.474 -1.073 0.142
I -0.410 -0.346 3.190
C -1.162 -2.144 2.241
H -2.232 -2.242 2.419
H -0.598 -2.991 2.619
C 4.223 1.284 2.051
C 3.031 2.077 1.640
C 2.801 2.396 0.299
C 1.730 3.193 -0.064
C 0.912 3.693 0.931
C 1.074 3.353 2.262
C 2.143 2.548 2.611
S -0.252 4.988 0.482
O 0.279 5.744 -0.595
O -0.767 5.561 1.675
N -1.483 4.052 -0.189
C -2.543 3.519 0.598
C -3.083 2.203 0.041
C -2.089 1.075 0.149
O -0.878 1.194 -0.148
O -2.513 -0.047 0.545
H 4.818 0.990 1.194
H 3.953 0.405 2.635
H 4.844 1.902 2.700
H 3.494 2.062 -0.459
H 1.565 3.482 -1.087
H 0.433 3.782 3.017
H 2.333 2.330 3.653
H -1.602 4.131 -1.187
H -3.379 4.232 0.658
H -2.154 3.395 1.613
H -3.332 2.317 -1.017
H -3.980 1.907 0.586
```

Energy relative to the best compared isomer or geometry (same formula, charge and spin) ... 0.821 eV
Electronic energy ... -2492.411762 Ha
Spin multiplicity ... 4
LUMO (spin up / spin down) ... -8.2 / -8.3 eV
HOMO-LUMO gap (spin up / spin down) ... 5.63 / 5.50 eV
HOMO level (spin up / spin down) ... -13.8 / -13.8 eV
Total charge ... +2
Expectation value of S² ... 3.79

---

Record 2
Entry from the Open Molecules 2025 dataset: C26H30HfN6O4PSbSe4 as an isolated structure (ωB97M-V/def2-TZVPD).

```
73
C26H30HfN6O4PSbSe4 | the Open Molecules 2025 dataset | ωB97M-V/def2-TZVPD
Hf -0.456 -1.717 -0.160
C -3.376 0.012 -3.337
C -2.529 -0.923 -2.670
N -2.111 -0.696 -1.427
C -2.478 0.513 -0.889
C -3.114 1.458 -1.681
N -3.603 1.239 -2.873
C -2.295 0.669 0.514
C -2.905 1.624 1.337
C -2.772 1.623 2.750
C -1.957 0.605 3.294
C -1.456 -0.389 2.451
N -1.527 -0.301 1.080
C -0.700 -1.519 3.012
C -0.358 -1.655 4.389
N 0.297 -2.699 4.830
C 0.844 -3.527 3.992
C 0.656 -3.398 2.618
N -0.124 -2.396 2.119
C -3.364 2.633 3.621
C -3.678 3.907 3.155
C -3.936 4.934 4.118
N -3.968 4.712 5.426
C -3.829 3.441 5.874
C -3.537 2.393 4.982
H -3.726 -0.198 -4.336
H -2.346 -1.880 -3.205
H -3.198 2.465 -1.382
H -3.711 2.252 0.875
H -1.654 0.661 4.381
H -0.734 -0.933 5.102
H 1.577 -4.241 4.356
H 1.092 -4.052 1.916
H -3.668 4.258 2.130
H -4.112 5.911 3.761
└──
There is also a variety of Hanukkah festivities in the community. The Festival of Chanukah (same meaning as Hanukkah) is a celebration with the lighting of Canada’s tallest Menorah, with live music and free refreshments. The event starts at 5:30 pm on December 12, 2018 and is located at Vancouver Art Gallery plaza, on Georgia and Hornby St. Admission is free.
The Or Shalom Synagogue, located on 710 E 10 Ave, is hosting a Chanukah Latke dinner and music from 5:30- 9:00 pm on December 7, 2018.The dinner will consist of latkes and a vegetarian potluck, story-telling and singing, and a Kabbalat Shabbat service; it is free of charge and open to anyone. More information can be found on their website.
If you are looking traditional Jewish food, there is no better place to visit than the Mensch Jewish Delicatessen located on 666 East Broadway, Vancouver for some authenticity. You may also visit the Omnitsky’s Kosher Deli located on 5775 Oak street, Vancouver where you can find Menorah’s, candles, Dreidels, and Hanukkah eats. Happy Hanukkah!
Photo courtesy of Zion Judaica and Chatelaine